Contents:
/*
Structure and computed powder X-ray diffraction pattern of PuAgH2Cl8 (a structure optimized by DFT (PBE); Cu Kα).

Principal peaks in the range 2θ from 10° to 80°, by intensity:
| d [Å] | I/Imax |
| --- | --- |
| 7.232 | 100 |
| 6.820 | 90 |
| 5.043 | 43 |
| 4.884 | 43 |
| 3.237 | 41 |
| 2.952 | 29 |

Atomic structure:
a b c (Å): 6.8244 7.2375 7.3835
angles (deg): 88.86 89.34 88.13
Positions (direct):
Pu (0.0000, 0.0000, 0.0000)
Ag (0.0000, 0.0000, 0.5000)
H (0.2595, 0.3258, 0.6790)
H (0.7405, 0.6742, 0.3210)
Cl (0.2132, 0.8407, 0.7546)
Cl (0.2180, 0.8475, 0.2473)
Cl (0.2193, 0.2741, 0.9857)
Cl (0.2646, 0.3275, 0.5024)
Cl (0.7354, 0.6725, 0.4976)
Cl (0.7807, 0.7259, 0.0143)
Cl (0.7820, 0.1525, 0.7527)
Cl (0.7869, 0.1593, 0.2454)



Structure and computed powder X-ray diffraction pattern of AgHS2Cl (a structure optimized by DFT (PBE); Cu Kα).

Principal peaks in the range 2θ from 10° to 80°, by intensity:
| d [Å] | I/Imax |
| --- | --- |
| 2.442 | 100 |
| 3.657 | 96 |
| 7.311 | 45 |
| 1.776 | 39 |
| 1.638 | 30 |
| 3.276 | 29 |

Atomic structure:
a b c (Å): 3.6651 3.6651 7.3108
angles (deg): 90.00 90.00 90.00
Positions (direct):
Ag (0.0000, 0.0000, 0.0000)
H (0.5000, 0.5000, 0.5000)
S (0.0000, 0.5000, 0.5000)
S (0.5000, 0.0000, 0.5000)
Cl (0.5000, 0.5000, 0.0000)



Structure and computed powder X-ray diffraction pattern of HfAg3Cl7 (a structure optimized by DFT (PBE); Cu Kα).

Principal peaks in the range 2θ from 10° to 80°, by intensity:
| d [Å] | I/Imax |
| --- | --- |
| 5.809 | 100 |
| 3.401 | 43 |
| 2.661 | 39 |
| 3.813 | 28 |
| 3.317 | 26 |
| 4.140 | 26 |

Atomic structure:
a b c (Å): 7.7394 7.7394 7.6641
angles (deg): 114.81 114.81 61.38
Positions (direct):
Hf (0.0000, 0.0000, 0.0000)
Ag (0.2656, 0.7787, 0.4435)
Ag (0.4332, 0.4332, 0.8032)
Ag (0.7787, 0.2656, 0.4435)
Cl (0.0642, 0.6378, 0.8009)
Cl (0.0852, 0.0852, 0.7871)
Cl (0.3501, 0.9044, 0.2142)
Cl (0.5654, 0.5654, 0.6494)
Cl (0.6378, 0.0642, 0.8009)
Cl (0.8993, 0.8993, 0.2237)
Cl (0.9044, 0.3501, 0.2142)



Structure and computed powder X-ray diffraction pattern of KHfAgCl6 (a structure optimized by DFT (PBE); Cu Kα).

Principal peaks in the range 2θ from 10° to 80°, by intensity:
| d [Å] | I/Imax |
| --- | --- |
| 4.476 | 100 |
| 6.688 | 97 |
| 2.410 | 95 |
| 3.085 | 85 |
| 6.023 | 45 |
| 3.477 | 38 |

Atomic structure:
a b c (Å): 6.9546 6.9546 13.3760
angles (deg): 90.00 90.00 120.00
Positions (direct):
K (0.0000, 0.0000, 0.0000)
K (0.0000, 0.0000, 0.5000)
Hf (0.3333, 0.6667, 0.2500)
Hf (0.6667, 0.3333, 0.7500)
Ag (0.3333, 0.6667, 0.7500)
Ag (0.6667, 0.3333, 0.2500)
Cl (0.0359, 0.3874, 0.1426)
Cl (0.0359, 0.6485, 0.3574)
Cl (0.3515, 0.3874, 0.3574)
Cl (0.3515, 0.9641, 0.1426)
Cl (0.3874, 0.0359, 0.6426)
Cl (0.3874, 0.3515, 0.8574)
Cl (0.6126, 0.6485, 0.1426)
Cl (0.6126, 0.9641, 0.3574)
Cl (0.6485, 0.0359, 0.8574)
Cl (0.6485, 0.6126, 0.6426)
Cl (0.9641, 0.3515, 0.6426)
Cl (0.9641, 0.6126, 0.8574)

* * * * *

(1)
# Sr4Mg3Al5
Theoretical powder X-ray diffraction pattern, copper Kα. Input: DFT lattice parameters and positions (GGA-PBE).
Kinematic intensities with the Lorentz-polarization factor, no thermal factor.

a = 6.045 Å, b = 6.045 Å, c = 19.955 Å
α = 90.00°, β = 90.00°, γ = 120.00°
Sites, in units of the cell vectors:
1 Sr 0.000 0.000 0.103
2 Sr 0.000 0.000 0.397
3 Sr 0.000 0.000 0.603
4 Sr 0.000 0.000 0.897
5 Sr 0.333 0.667 0.161
6 Sr 0.333 0.667 0.339
7 Sr 0.667 0.333 0.661
8 Sr 0.667 0.333 0.839
9 Mg 0.000 0.500 0.000
10 Mg 0.000 0.500 0.500
11 Mg 0.500 0.000 0.000
12 Mg 0.500 0.000 0.500
13 Mg 0.500 0.500 0.000
14 Mg 0.500 0.500 0.500
15 Al 0.165 0.330 0.750
16 Al 0.165 0.835 0.750
17 Al 0.330 0.165 0.250
18 Al 0.333 0.667 0.640
19 Al 0.333 0.667 0.860
20 Al 0.667 0.333 0.140
21 Al 0.667 0.333 0.360
22 Al 0.670 0.835 0.750
23 Al 0.835 0.165 0.250
24 Al 0.835 0.670 0.250

Most intense lines, 5° ≤ 2θ ≤ 70°, by angle:
| d_spacing | I_rel |
| --- | --- |
| 3.174 | 20 |
| 3.023 | 74 |
| 2.807 | 71 |
| 2.596 | 21 |
| 2.585 | 100 |
| 2.532 | 32 |
| 1.701 | 31 |
*/

Wanted:
Quote every line further above that contains the word "diffraction", please.

Result:
Structure and computed powder X-ray diffraction pattern of PuAgH2Cl8 (a structure optimized by DFT (PBE); Cu Kα).
Structure and computed powder X-ray diffraction pattern of AgHS2Cl (a structure optimized by DFT (PBE); Cu Kα).
Structure and computed powder X-ray diffraction pattern of HfAg3Cl7 (a structure optimized by DFT (PBE); Cu Kα).
Structure and computed powder X-ray diffraction pattern of KHfAgCl6 (a structure optimized by DFT (PBE); Cu Kα).
Theoretical powder X-ray diffraction pattern, copper Kα. Input: DFT lattice parameters and positions (GGA-PBE).